**Wanted**
Could you give back only the lines underneath with the word "in" in them?

**Excerpt**
-- begin --
Here is C8H30B2N2O2Pt as an isolated structure from the Open Molecules 2025 dataset. Energies are from wB97M-V/def2-TZVPD.

Last column: Mulliken spin population.
Positions of all 45 atoms, in Å:
Pt -0.624 0.676 -1.177  1.51
B 0.733 -0.384 -3.722  0.11
H 1.097 0.540 -3.301  0.04
H -0.310 -0.484 -3.463  0.10
H 0.888 -0.438 -4.788  0.04
H 1.269 -1.162 -3.200  0.03
B -1.522 3.383 -1.983  0.02
H -1.788 2.760 -2.823  0.01
H -1.875 2.875 -1.100  0.03
H -0.444 3.397 -1.938  0.01
H -1.993 4.354 -1.965  0.03
C -2.444 -4.003 0.299  0.00
C -2.172 -2.805 -0.582  -0.01
C -3.374 -1.933 -0.798  0.00
O -3.059 -0.897 -1.696  0.03
C -4.250 -0.155 -1.998  0.00
N -0.993 -2.048 -0.090  0.03
H -1.520 -4.530 0.540  0.00
H -3.069 -4.774 -0.152  0.00
H -2.984 -3.636 1.171  0.00
H -1.905 -3.166 -1.575  0.00
H -3.834 -1.531 0.104  0.00
H -4.094 -2.592 -1.283  0.00
H -4.616 0.427 -1.152  0.00
H -5.012 -0.894 -2.243  0.00
H -4.103 0.522 -2.840  0.00
H -1.093 -1.936 0.909  0.00
H -0.238 -2.708 -0.210  0.00
C 3.769 1.522 0.411  0.00
C 2.911 1.291 1.632  0.00
C 3.501 1.851 2.987  0.00
O 2.774 1.330 4.098  0.00
C 3.275 0.059 4.560  0.00
N 1.555 1.733 1.358  0.02
H 3.533 2.465 -0.082  0.00
H 3.609 0.727 -0.318  0.00
H 4.840 1.582 0.604  0.00
H 2.869 0.209 1.756  0.00
H 3.303 2.921 3.056  0.00
H 4.578 1.788 3.148  0.00
H 2.969 -0.805 3.970  0.00
H 2.875 -0.012 5.571  0.00
H 4.338 0.079 4.803  0.00
H 1.038 1.665 2.223  0.00
H 1.592 2.739 1.281  0.00

Its energy above the lowest of the compared OMol25 structures with the same formula, charge and spin is 174.3 kcal/mol. The spin multiplicity is 3. For the LUMO energy (spin up / spin down), the calculation gives -0.0782 / -0.1392 Ha.

Here is a 8-piece molecular cluster, C18H48F3O9S7 overall from the Open Molecules 2025 dataset. Energies are from wB97M-V/def2-TZVPD.

Last column: Mulliken charge in e.
Positions of all 85 atoms, in Å:
C -7.092 9.726 11.965  -0.35
O -8.277 8.851 11.602  0.10
O -7.094 10.774 11.309  -0.72
C -7.320 9.908 13.485  0.92
F -6.224 10.446 14.072  -0.28
F -8.346 10.732 13.777  -0.13
F -7.556 8.757 14.189  -0.34
C -8.247 8.487 10.257  -0.42
C -9.027 7.198 10.069  -0.95
H -8.564 6.331 10.534  0.18
H -9.940 7.325 10.671  0.14
H -9.308 6.975 9.038  0.42
H -7.241 8.383 9.815  0.34
H -8.637 9.333 9.674  0.09
H -6.190 9.074 11.808  0.03
C -3.358 9.094 15.085  -0.80
S -2.309 8.479 16.417  0.49
O -3.011 7.332 17.034  -0.62
C -0.962 7.733 15.474  -1.01
H -4.230 8.453 14.962  0.21
H -2.834 9.195 14.139  0.40
H -3.715 10.037 15.495  0.31
H -0.535 7.074 16.238  0.34
H -0.163 8.363 15.095  0.36
H -1.375 7.006 14.771  0.32
C -10.696 11.167 10.448  -0.50
S -10.528 12.737 9.547  0.50
O -9.130 13.175 9.544  -0.55
C -11.096 12.166 7.940  -0.97
H -10.127 11.288 11.368  -0.26
H -10.307 10.353 9.839  0.29
H -11.768 11.060 10.621  0.49
H -10.390 11.481 7.459  0.29
H -11.221 13.053 7.326  0.31
H -12.002 11.574 8.079  0.33
C -11.426 11.990 18.175  -1.12
S -9.898 12.203 17.242  0.85
O -8.972 12.801 18.263  -0.79
C -9.310 10.512 17.188  -0.45
H -11.888 12.880 18.589  0.36
H -11.222 11.299 18.994  0.35
H -12.130 11.543 17.462  0.30
H -8.932 10.196 16.220  -0.11
H -10.018 9.759 17.543  0.20
H -8.497 10.455 17.911  0.42
C -6.804 3.058 11.902  -0.92
S -6.907 3.331 13.703  0.50
O -5.545 3.400 14.252  -0.63
C -7.367 5.061 13.541  -0.91
H -7.732 3.160 11.347  0.31
H -6.383 2.065 11.746  0.35
H -6.053 3.796 11.616  0.29
H -8.396 5.115 13.180  0.13
H -6.698 5.619 12.887  0.60
H -7.313 5.534 14.519  0.26
C -13.478 2.844 12.911  -0.90
S -13.596 4.653 12.883  0.47
O -13.554 5.151 14.276  -0.60
C -11.950 4.991 12.274  -1.00
H -13.180 2.486 13.898  0.29
H -12.730 2.520 12.191  0.30
H -14.483 2.461 12.753  0.34
H -11.777 6.064 12.231  0.24
H -11.859 4.619 11.247  0.52
H -11.177 4.496 12.863  0.31
C -9.628 4.929 16.414  -0.36
S -10.295 6.553 16.777  0.40
O -9.228 7.204 17.570  -0.62
C -10.219 7.267 15.123  0.14
H -10.381 4.161 16.238  0.38
H -8.978 4.625 17.234  0.39
H -8.938 4.942 15.570  -0.32
H -9.160 7.321 14.877  -0.22
-- stop --

**Done**
Positions of all 45 atoms, in Å:
Last column: Mulliken charge in e.
Positions of all 85 atoms, in Å: